Retrieving components of a variable using accessors
Under TorqueScript position, vector, matrix, and color variables are all very similar. They are made up of a string with space-delimited components (or fields). For example, a position variable may be defined as follows:
// A position is of the form "x y z" %position = "1.2 0.34 13.22";
TorqueScript provides a set of special accessors to work with these common types of variables. This allows us to access each individual component and manipulate it.
Getting ready
We will be adding a new TorqueScript function to a project based on the Torque 3D Full
template and try it out using the Empty Terrain
level. If you haven't already, use the Torque Project Manager (Project Manager.exe
) to create a new project from the Full
template. It will be found under the My Projects
directory. Then start up your favorite script editor, such as Torsion, and let's get going!
How to do it...
We are going to write a TorqueScript function that will demonstrate how to retrieve components of a variable using the special accessors as follows:
# Between two parts of the piece: materials data
/*
Material: Dy2Ga7Pd
Method: DFT, PBE
State: optimized geometry

As for the mass density: 8.030 g/cm³. The energy of formation is -500 meV/atom. For the final energy, the calculation gives -4.059 eV per atom.

abc: 4.1880 4.1880 10.8407
angles: 90.00 90.00 90.00
Closest atoms and distances in Å follow each position.
Space group P-4m2 (No. 115)
Asymmetric unit:
Dy 0.0000 0.5000 0.2445  14 Ga 3.20-3.47, 2 Pd 3.38
Ga 0.0000 0.0000 0.0000  4 Ga 2.55
Ga 0.0000 0.0000 0.5000  4 Ga 2.60
Ga 0.0000 0.5000 0.6424  5 Ga 2.43-2.60
Ga 0.0000 0.5000 0.8664  3 Ga 2.43-2.55, 2 Pd 2.55
Ga 0.5000 0.5000 0.5000  4 Ga 2.60
Pd 0.5000 0.5000 0.0000  4 Ga 2.55
*/
# The materials data stop here
Open the
script file and add the following code to the bottom:function variableAccessors1() { // A position is of the form "x y z" %position = "23.0 2.35 9.78"; // Print out each component to the console echo("Position X: " @ %position.x); echo(" Y: " @ %position.y); echo(" Z: " @ %position.z); echo("\n"); // Add one to the position's y component %position.y += 1; // Print out each component to the console echo("New Position X: " @ %position.x); echo(" Y: " @ %position.y); echo(" Z: " @ %position.z); echo("\n"); // Define a vector in the form of "x y z w" %vector = "1 0 0 1"; // Print out each component to the console echo("Vector X: " @ %vector.x); echo(" Y: " @ %vector.y); echo(" Z: " @ %vector.z); echo(" W: " @ %vector.w); echo("\n"); // A color is of the form "r g b a" %color = "128 0 128 255"; // Print out each color component to the console echo("Color R: " @ %color.r); echo(" G: " @ %color.g); echo(" B: " @ %color.b); echo(" A: " @ %color.a); echo("\n"); // Modify the color components %color.r += 64; %color.g += 64; %color.b = 0; // Print out each color component to the console echo("New Color R: " @ %color.r); echo(" G: " @ %color.g); echo(" B: " @ %color.b); echo(" A: " @ %color.a); }
Start up our game under the
My Projects
directory and load theEmpty Terrain
level. Open the console using the tilde (~) key and enter the following at the bottom of the screen:variableAccessors1();
In the console we will see the following output:
==>variableAccessors1(); Position X: 23.0 Y: 2.35 Z: 9.78 New Position X: 23.0 Y: 3.35 Z: 9.78 Vector X: 1 Y: 0 Z: 0 W: 1 Color R: 128 G: 0 B: 128 A: 255 New Color R: 192 G: 64 B: 0 A: 255
How it works...
TorqueScript provides two sets of convenience accessors to help work with components of a variable. The first set is x, y, z, and w. This set is most often used with the x, y, and z components of position and vector variables; and we will nearly always use the first three accessors, ignoring the w accessor. The second set is r, g, b, and a, which correspond to the red, green, blue, and alpha components of a variable containing color information.
There's more...
Behind the scenes, whenever we use one of these special accessors, TorqueScript is retrieving the corresponding space-delimited field within the variable. So the x and r accessors refer to the first field, the y and g accessors refer to the second field, and so on.
This also means that the positional/vector accessors and color accessors can be freely mixed together. For example, the red component of a color variable may just as easily be retrieved using the x accessor, and the alpha component may be retrieved with the w accessor. This also works the other way round with the
components of a vector retrieved using the color accessors. We can see this in action by copying the following function at the end of the game/scripts/server/game.cs
script file:
function variableAccessors2() { // Define a vector in the form of "x y z w" %vector = "1 0 0 1"; // Print out each xyzw component to the console echo("Vector X: " @ %vector.x); echo(" Y: " @ %vector.y); echo(" Z: " @ %vector.z); echo(" W: " @ %vector.w); echo("\n"); // Print out each rgba component to the console echo("Vector R: " @ %vector.r); echo(" G: " @ %vector.g); echo(" B: " @ %vector.b); echo(" A: " @ %vector.a); }
== Someone pasted calculated crystals at this point ==
Arrangement a

Density functional theory data (GGA-PBE) for a relaxed CaFeS2Cl crystal.

Cell lengths 5.2509, 5.2509, 5.0597 Å; angles 90.00, 90.00, 90.00 degrees
With the nearest neighbours (Å) after each atom.
Space group P4/mmm (No. 123)
Unique sites:
Ca: 0.0000 0.0000 0.0000 (multiplicity 1)  2 Cl 2.53, 4 S 2.63
Fe: 0.5000 0.5000 0.5000 (multiplicity 1)  8 S 3.65, 4 Cl 3.71
S: 0.0000 0.5000 0.0000 (multiplicity 2)  2 Ca 2.63
Cl: 0.0000 0.0000 0.5000 (multiplicity 1)  2 Ca 2.53

Its crystal system is tetragonal.

---

Arrangement b

Density functional theory data (GGA-PBE) for a relaxed CaFeS2Cl crystal.

Cell lengths 4.5671, 4.5671, 4.8961 Å; angles 90.00, 90.00, 90.00 degrees
With the nearest neighbours (Å) after each atom.
Space group P4/mmm (No. 123)
Unique sites:
Ca: 0.0000 0.0000 0.0000 (multiplicity 1)  4 Cl 3.23, 8 S 3.35
Fe: 0.5000 0.5000 0.5000 (multiplicity 1)  4 S 2.28, 2 Cl 2.45
S: 0.0000 0.5000 0.5000 (multiplicity 2)  2 Fe 2.28
Cl: 0.5000 0.5000 0.0000 (multiplicity 1)  2 Fe 2.45

Its crystal system is tetragonal.

---

arrangement b is preferred energetically. Next in line: 1016 meV per atom higher.

* * * * *

# 1
VASP calculation (GGA-PBE) on a relaxed KRb2MgH5 crystal.

Lattice parameters (Å, degrees): 4.0378 6.2674 7.6099 114.32 105.38 90.00
With the nearest neighbours (Å) after each atom.
Sites, in units of the cell vectors:
K 0.0000 0.5000 0.0000  10 H 3.02-3.13
Rb 0.2129 0.2129 0.4257  7 H 2.82-2.90
Rb 0.7871 0.7871 0.5743  7 H 2.82-2.90
Mg 0.5000 0.0000 0.0000  6 H 2.02-2.05
H 0.6102 0.8819 0.2203  1 Mg 2.05
H 0.3898 0.1181 0.7797  1 Mg 2.05
H 0.3898 0.6616 0.7797  1 Mg 2.05
H 0.6102 0.3384 0.2203  1 Mg 2.05
H 0.0000 0.0000 0.0000  2 Mg 2.02

Computed properties:
SG: Immm, No. 71


# 2
VASP calculation (GGA-PBE) on a relaxed K2MgH6Rh crystal.

Lattice parameters (Å, degrees): 5.0255 5.8473 5.8473 120.00 90.00 90.00
With the nearest neighbours (Å) after each atom.
Sites, in units of the cell vectors:
K 0.1966 0.3333 0.6667  9 H 2.81-2.94
K 0.8034 0.6667 0.3333  9 H 2.81-2.94
Mg 0.5000 0.0000 0.0000  6 H 2.05
H 0.7975 0.1386 0.2773  1 Rh 1.73
H 0.7975 0.1386 0.8614  1 Rh 1.73
H 0.7975 0.7227 0.8614  1 Rh 1.73
H 0.2025 0.8614 0.1386  1 Rh 1.73
H 0.2025 0.2773 0.1386  1 Rh 1.73
H 0.2025 0.8614 0.7227  1 Rh 1.73
Rh 0.0000 0.0000 0.0000  6 H 1.73

Computed properties:
SG: P-3m1, No. 164


# 3
VASP calculation (GGA-PBE) on a relaxed K2MgHS crystal.

Lattice parameters (Å, degrees): 5.0727 4.5116 5.0727 90.00 90.00 90.00
With the nearest neighbours (Å) after each atom.
Sites, in units of the cell vectors:
Mg 0.0000 0.5000 0.0000  2 H 2.26
H 0.0000 0.0000 0.0000  2 Mg 2.26
K 0.0000 0.0000 0.5000  2 H 2.54
K 0.5000 0.0000 0.0000  2 H 2.54
S 0.5000 0.5000 0.5000  8 K 3.39, 4 Mg 3.59

Computed properties:
Start up our game under the My Projects
directory and load the Empty Terrain
level. Open the console using the tilde (~) key and enter the following at the bottom of the screen:
In the console we will see the following output:
==>variableAccessors2(); Vector X: 1 Y: 0 Z: 0 W: 1 Vector R: 1 G: 0 B: 0 A: 1
The results demonstrate that we can retrieve components of a variable using either set of accessors.
See also
Accessing delimited fields within a string